_Data_
<<<
No. 1
Sm12InCo6 | meta-GGA r2SCAN | optimized geometry

Structure (POSCAR):
```
Sm12InCo6
1.0
5.239 6.445 2.055
-5.646 -1.210 6.314
4.574 -7.140 -1.143
Sm In Co
12 1 6
Direct
0.808 0.696 0.504
0.192 0.304 0.496
0.192 0.696 0.888
0.808 0.304 0.112
0.696 0.504 0.808
0.304 0.496 0.192
0.696 0.888 0.192
0.304 0.112 0.808
0.504 0.808 0.696
0.496 0.192 0.304
0.112 0.808 0.304
0.888 0.192 0.696
0.000 0.000 0.000
0.890 0.390 0.500
0.110 0.610 0.500
0.390 0.500 0.890
0.610 0.500 0.110
0.500 0.890 0.390
0.500 0.110 0.610
```

V	25.38	Å³/atom
DFT formation energy	-117	meV/atom
M_tot	1.5	μB/f.u.
space-group type	No. 204
uncorrected energy	-461.00	eV for the cell shown

No. 2
TmIn5Co | meta-GGA r2SCAN | optimized geometry

Structure (POSCAR):
```
TmIn5Co
1.0
-0.984 0.480 -4.395
-4.056 -1.889 0.702
-2.874 6.681 1.374
Tm In Co
1 5 1
Direct
0.000 0.000 0.000
0.500 0.500 0.000
0.500 0.000 0.695
0.000 0.500 0.305
0.500 0.000 0.305
0.000 0.500 0.695
0.000 0.000 0.500
```

V	21.69	Å³/atom
DFT formation energy	-278	meV/atom
M_tot	0.0	μB/f.u.
space-group type	No. 123
uncorrected energy	-163.20	eV for the cell shown

No. 3
Tm8In3Co | meta-GGA r2SCAN | optimized geometry

Structure (POSCAR):
```
Tm8In3Co
1.0
5.073 -8.786 0.000
5.073 8.786 0.000
0.000 0.000 6.912
Tm In Co
16 6 2
Direct
0.536 0.072 0.513
0.928 0.464 0.513
0.536 0.464 0.513
0.464 0.928 0.013
0.072 0.536 0.013
0.464 0.536 0.013
0.179 0.357 0.720
0.643 0.821 0.720
0.179 0.821 0.720
0.821 0.643 0.220
0.357 0.179 0.220
0.821 0.179 0.220
0.667 0.333 0.904
0.333 0.667 0.404
0.000 0.000 0.501
0.000 0.000 0.001
0.837 0.674 0.762
0.326 0.163 0.762
0.837 0.163 0.762
0.163 0.326 0.262
0.674 0.837 0.262
0.163 0.837 0.262
0.667 0.333 0.289
0.333 0.667 0.789
```

V	25.67	Å³/atom
DFT formation energy	-437	meV/atom
M_tot	0.0	μB/f.u.
space-group type	No. 186
uncorrected energy	-734.36	eV for the cell shown

No. 4
Tm3In4Co2 | meta-GGA r2SCAN | optimized geometry

Structure (POSCAR):
```
Tm3In4Co2
1.0
-4.838 0.250 6.121
-2.851 -1.069 -7.187
0.321 -3.526 0.397
Tm In Co
3 4 2
Direct
0.294 0.250 0.500
0.750 0.045 0.500
0.955 0.706 0.500
0.076 0.411 0.000
0.589 0.665 0.000
0.335 0.924 0.000
0.667 0.333 0.000
0.333 0.667 0.500
0.000 0.000 0.000
```

V	20.89	Å³/atom
DFT formation energy	-431	meV/atom
M_tot	0.9	μB/f.u.
space-group type	No. 174
uncorrected energy	-226.02	eV for the cell shown

No. 5
Y8In3Co | meta-GGA r2SCAN | optimized geometry

Structure (POSCAR):
```
Y8In3Co
1.0
5.193 -8.994 0.000
5.193 8.994 0.000
0.000 0.000 7.078
Y In Co
16 6 2
Direct
0.464 0.536 0.482
0.071 0.536 0.482
0.464 0.929 0.482
0.536 0.464 0.982
0.929 0.464 0.982
0.536 0.071 0.982
0.823 0.177 0.275
0.354 0.177 0.275
0.823 0.646 0.275
0.177 0.823 0.775
0.646 0.823 0.775
0.177 0.354 0.775
0.333 0.667 0.094
0.667 0.333 0.594
0.000 0.000 0.496
0.000 0.000 0.996
0.163 0.837 0.234
0.673 0.837 0.234
0.163 0.327 0.234
0.837 0.163 0.734
0.327 0.163 0.734
0.837 0.673 0.734
0.333 0.667 0.707
0.667 0.333 0.207
>>>
_What to do_
Your job: reproduce everything further above unchanged.
_Done_
No. 1
Sm12InCo6 | meta-GGA r2SCAN | optimized geometry

Structure (POSCAR):
```
Sm12InCo6
1.0
5.239 6.445 2.055
-5.646 -1.210 6.314
4.574 -7.140 -1.143
Sm In Co
12 1 6
Direct
0.808 0.696 0.504
0.192 0.304 0.496
0.192 0.696 0.888
0.808 0.304 0.112
0.696 0.504 0.808
0.304 0.496 0.192
0.696 0.888 0.192
0.304 0.112 0.808
0.504 0.808 0.696
0.496 0.192 0.304
0.112 0.808 0.304
0.888 0.192 0.696
0.000 0.000 0.000
0.890 0.390 0.500
0.110 0.610 0.500
0.390 0.500 0.890
0.610 0.500 0.110
0.500 0.890 0.390
0.500 0.110 0.610
```

V	25.38	Å³/atom
DFT formation energy	-117	meV/atom
M_tot	1.5	μB/f.u.
space-group type	No. 204
uncorrected energy	-461.00	eV for the cell shown

No. 2
TmIn5Co | meta-GGA r2SCAN | optimized geometry

Structure (POSCAR):
```
TmIn5Co
1.0
-0.984 0.480 -4.395
-4.056 -1.889 0.702
-2.874 6.681 1.374
Tm In Co
1 5 1
Direct
0.000 0.000 0.000
0.500 0.500 0.000
0.500 0.000 0.695
0.000 0.500 0.305
0.500 0.000 0.305
0.000 0.500 0.695
0.000 0.000 0.500
```

V	21.69	Å³/atom
DFT formation energy	-278	meV/atom
M_tot	0.0	μB/f.u.
space-group type	No. 123
uncorrected energy	-163.20	eV for the cell shown

No. 3
Tm8In3Co | meta-GGA r2SCAN | optimized geometry

Structure (POSCAR):
```
Tm8In3Co
1.0
5.073 -8.786 0.000
5.073 8.786 0.000
0.000 0.000 6.912
Tm In Co
16 6 2
Direct
0.536 0.072 0.513
0.928 0.464 0.513
0.536 0.464 0.513
0.464 0.928 0.013
0.072 0.536 0.013
0.464 0.536 0.013
0.179 0.357 0.720
0.643 0.821 0.720
0.179 0.821 0.720
0.821 0.643 0.220
0.357 0.179 0.220
0.821 0.179 0.220
0.667 0.333 0.904
0.333 0.667 0.404
0.000 0.000 0.501
0.000 0.000 0.001
0.837 0.674 0.762
0.326 0.163 0.762
0.837 0.163 0.762
0.163 0.326 0.262
0.674 0.837 0.262
0.163 0.837 0.262
0.667 0.333 0.289
0.333 0.667 0.789
```

V	25.67	Å³/atom
DFT formation energy	-437	meV/atom
M_tot	0.0	μB/f.u.
space-group type	No. 186
uncorrected energy	-734.36	eV for the cell shown

No. 4
Tm3In4Co2 | meta-GGA r2SCAN | optimized geometry

Structure (POSCAR):
```
Tm3In4Co2
1.0
-4.838 0.250 6.121
-2.851 -1.069 -7.187
0.321 -3.526 0.397
Tm In Co
3 4 2
Direct
0.294 0.250 0.500
0.750 0.045 0.500
0.955 0.706 0.500
0.076 0.411 0.000
0.589 0.665 0.000
0.335 0.924 0.000
0.667 0.333 0.000
0.333 0.667 0.500
0.000 0.000 0.000
```

V	20.89	Å³/atom
DFT formation energy	-431	meV/atom
M_tot	0.9	μB/f.u.
space-group type	No. 174
uncorrected energy	-226.02	eV for the cell shown

No. 5
Y8In3Co | meta-GGA r2SCAN | optimized geometry

Structure (POSCAR):
```
Y8In3Co
1.0
5.193 -8.994 0.000
5.193 8.994 0.000
0.000 0.000 7.078
Y In Co
16 6 2
Direct
0.464 0.536 0.482
0.071 0.536 0.482
0.464 0.929 0.482
0.536 0.464 0.982
0.929 0.464 0.982
0.536 0.071 0.982
0.823 0.177 0.275
0.354 0.177 0.275
0.823 0.646 0.275
0.177 0.823 0.775
0.646 0.823 0.775
0.177 0.354 0.775
0.333 0.667 0.094
0.667 0.333 0.594
0.000 0.000 0.496
0.000 0.000 0.996
0.163 0.837 0.234
0.673 0.837 0.234
0.163 0.327 0.234
0.837 0.163 0.734
0.327 0.163 0.734
0.837 0.673 0.734
0.333 0.667 0.707
0.667 0.333 0.207